Wanted:
What is needed: work out how many lines further down have the word "No" in them; a number is enough.

File:
+++
First-principles (r2SCAN) data for a relaxed Lu2S3 crystal, as listed in the Materials Project.

Output
total DFT energy (no corrections): -22.406 eV per atom
ρ: 6.3 g/cm³
space-group type: R-3c, No. 167
energy of formation: -2.3540 eV/atom

Cell lengths 7.1723, 7.1723, 7.1723 Å; angles 55.69, 55.69, 55.69 degrees
With the nearest neighbours (Å) after each atom.
Atoms (fractional coordinates):
S: 0.4459 0.0541 0.7500  4 Lu 2.64-2.71
Lu: 0.1510 0.1510 0.1510  6 S 2.64-2.71
Lu: 0.8490 0.8490 0.8490  6 S 2.64-2.71
S: 0.5541 0.9459 0.2500  4 Lu 2.64-2.71
S: 0.9459 0.2500 0.5541  4 Lu 2.64-2.71
S: 0.7500 0.4459 0.0541  4 Lu 2.64-2.71
Lu: 0.6510 0.6510 0.6510  6 S 2.64-2.71
S: 0.0541 0.7500 0.4459  4 Lu 2.64-2.71
S: 0.2500 0.5541 0.9459  4 Lu 2.64-2.71
Lu: 0.3490 0.3490 0.3490  6 S 2.64-2.71

=====

(1)
VASP calculation (GGA-PBE) on a relaxed structure of Pr2Co17.

Unit cell a=6.3428 b=6.3428 c=6.3428 alpha=82.99 beta=82.99 gamma=82.99
With the nearest neighbours (Å) after each atom.
Sites, in units of the cell vectors:
Co 0.6584 0.6584 0.1514  9 Co 2.41-2.63
Co 0.0000 0.5000 0.0000  10 Co 2.39-2.58
Co 0.0000 0.2848 0.7152  10 Co 2.39-2.66
Co 0.3416 0.3416 0.8486  9 Co 2.41-2.63
Co 0.1514 0.6584 0.6584  9 Co 2.41-2.63
Co 0.2848 0.7152 0.0000  10 Co 2.39-2.66
Co 0.8486 0.3416 0.3416  9 Co 2.41-2.63
Co 0.0000 0.0000 0.5000  10 Co 2.39-2.58
Co 0.6584 0.1514 0.6584  9 Co 2.41-2.63
Co 0.7152 0.2848 0.0000  10 Co 2.39-2.66
Co 0.2848 0.0000 0.7152  10 Co 2.39-2.66
Co 0.7152 0.0000 0.2848  10 Co 2.39-2.66
Co 0.3416 0.8486 0.3416  9 Co 2.41-2.63
Co 0.0000 0.7152 0.2848  10 Co 2.39-2.66
Co 0.9047 0.9047 0.9047  7 Co 2.34-2.59
Co 0.5000 0.0000 0.0000  10 Co 2.39-2.58
Co 0.0953 0.0953 0.0953  7 Co 2.34-2.59
Pr 0.6570 0.6570 0.6570  19 Co 3.03-3.25
Pr 0.3430 0.3430 0.3430  19 Co 3.03-3.25

Output
crystal system: trigonal
space-group type: R-3m (166)
energy relative to the elements: -0.0381 eV/atom

(2)
VASP calculation (GGA-PBE) on a relaxed structure of Na3Zn4P4H4NO16.

Unit cell a=8.3231 b=10.4910 c=17.5868 alpha=90.00 beta=90.00 gamma=90.00
With the nearest neighbours (Å) after each atom.
Sites, in units of the cell vectors:
O 0.6865 0.5652 0.6617  1 P 1.56
O 0.6865 0.4348 0.1617  1 P 1.56
O 0.6918 0.8076 0.9014  1 P 1.56
O 0.0313 0.3608 0.3618  1 P 1.56
O 0.8082 0.6924 0.4014  1 P 1.56
O 0.2688 0.2224 0.4050  1 P 1.55
O 0.4687 0.1392 0.8618  1 P 1.56
O 0.6965 0.0043 0.9836  1 P 1.56
O 0.8135 0.9348 0.1617  1 P 1.56
O 0.7312 0.7776 0.5950  1 P 1.55
O 0.0437 0.1097 0.0505  1 P 1.55
O 0.5437 0.6097 0.4495  1 P 1.55
O 0.2086 0.7570 0.7647  1 P 1.56
O 0.9687 0.3608 0.1382  1 P 1.56
O 0.7688 0.7224 0.0950  1 P 1.55
O 0.4687 0.8608 0.3618  1 P 1.56
O 0.1865 0.9348 0.3383  1 P 1.56
O 0.1948 0.0142 0.6529  1 P 1.56
O 0.3082 0.8076 0.5986  1 P 1.56
O 0.9687 0.6392 0.6382  1 P 1.56
O 0.4563 0.6097 0.0505  1 P 1.55
O 0.4563 0.3903 0.5505  1 P 1.55
O 0.5437 0.3903 0.9495  1 P 1.55
O 0.6948 0.5142 0.8471  1 P 1.56
O 0.8135 0.0652 0.6617  1 P 1.56
O 0.2914 0.2570 0.7647  1 P 1.56
O 0.1918 0.3076 0.5986  1 P 1.56
O 0.3052 0.4858 0.1529  1 P 1.56
O 0.3135 0.5652 0.8383  1 P 1.56
O 0.8082 0.3076 0.9014  1 P 1.56
O 0.7688 0.2776 0.5950  1 P 1.55
O 0.0313 0.6392 0.8618  1 P 1.56
O 0.1965 0.4957 0.0164  1 P 1.56
O 0.2312 0.2776 0.9050  1 P 1.55
O 0.7086 0.2570 0.7353  1 P 1.56
O 0.7312 0.2224 0.0950  1 P 1.55
O 0.2914 0.7430 0.2647  1 P 1.56
O 0.5313 0.1392 0.6382  1 P 1.56
O 0.1948 0.9858 0.1529  1 P 1.56
O 0.1965 0.5043 0.5164  1 P 1.56
O 0.6948 0.4858 0.3471  1 P 1.56
O 0.2312 0.7224 0.4050  1 P 1.55
O 0.6918 0.1924 0.4014  1 P 1.56
O 0.7086 0.7430 0.2353  1 P 1.56
O 0.9563 0.8903 0.9495  1 P 1.55
O 0.8052 0.0142 0.8471  1 P 1.56
O 0.5313 0.8608 0.1382  1 P 1.56
O 0.7914 0.2430 0.2353  1 P 1.56
O 0.2086 0.2430 0.2647  1 P 1.56
O 0.2688 0.7776 0.9050  1 P 1.55
O 0.3035 0.9957 0.0164  1 P 1.56
O 0.3035 0.0043 0.5164  1 P 1.56
O 0.3082 0.1924 0.0986  1 P 1.56
O 0.1865 0.0652 0.8383  1 P 1.56
O 0.3052 0.5142 0.6529  1 P 1.56
O 0.0437 0.8903 0.5505  1 P 1.55
+++

Completed:
1